Next, count the lines below that contain the word "Properties" and give the number alone.
1.
91
Properties=species:S:1:pos:R:3 method="wB97M-V/def2-TZVPD" fmax_ev_per_a=1.7 e_homo_ev="-16.4 / -16.4" energy_ev=-100629.5988 s_squared=3.848 charge=+3 multiplicity=4 orbital_gap_ha="0.250 / 0.201"
Mn -1.05 0.66 0.32
C -2.18 -1.56 3.94
C -2.37 -0.79 2.79
N -1.39 -0.10 2.23
C -0.17 -0.10 2.83
C 0.13 -0.89 3.97
C -0.94 -1.63 4.52
C 1.45 -0.86 4.46
C 2.39 -0.04 3.88
C 2.06 0.83 2.83
C 0.79 0.81 2.30
N 0.23 1.65 1.32
C -0.09 2.95 1.65
C 0.67 3.90 2.32
C 0.15 5.18 2.55
C -1.14 5.51 2.22
C -2.00 4.53 1.67
C -3.39 4.68 1.49
C -4.13 3.61 1.05
C -3.49 2.41 0.71
N -2.17 2.25 0.81
C -1.44 3.28 1.33
H -3.02 -2.10 4.35
H -3.35 -0.73 2.32
H -0.78 -2.22 5.41
H 1.71 -1.49 5.30
H 3.40 -0.01 4.27
H 2.81 1.50 2.43
H 1.67 3.67 2.65
H 0.79 5.92 3.00
H -1.52 6.50 2.41
H -3.86 5.63 1.74
H -5.21 3.68 0.94
H -4.06 1.56 0.36
O -0.20 -0.96 -0.17
P 0.73 -2.14 -0.48
C 0.15 -3.67 0.30
C -0.43 -3.62 1.56
C -0.81 -4.80 2.18
C -0.60 -6.02 1.55
C -0.02 -6.06 0.30
C 0.36 -4.89 -0.34
C 2.40 -1.79 0.16
C 3.19 -2.84 0.60
C 4.51 -2.60 0.95
C 5.03 -1.32 0.85
C 4.23 -0.27 0.42
C 2.91 -0.49 0.10
C 0.72 -2.41 -2.27
C 1.88 -2.54 -3.02
C 1.79 -2.76 -4.38
C 0.55 -2.86 -4.99
C -0.61 -2.75 -4.24
C -0.53 -2.52 -2.88
H -0.56 -2.67 2.05
H -1.26 -4.76 3.16
H -0.90 -6.94 2.04
H 0.15 -7.01 -0.19
H 0.83 -4.92 -1.31
H 2.80 -3.84 0.67
H 5.13 -3.42 1.28
H 6.06 -1.14 1.12
H 4.64 0.73 0.31
H 2.26 0.33 -0.21
H 2.85 -2.46 -2.54
H 2.69 -2.88 -4.97
H 0.49 -3.02 -6.06
H -1.57 -2.86 -4.72
H -1.43 -2.44 -2.27
C -3.04 1.74 -3.93
C -2.82 1.43 -2.45
P -1.08 1.68 -1.85
C -0.89 3.51 -2.04
C 0.47 4.06 -1.63
C -0.11 0.97 -3.25
C 1.39 0.81 -3.04
H -4.09 1.62 -4.16
H -2.48 1.08 -4.59
H -2.78 2.77 -4.16
H -3.10 0.39 -2.24
H -3.46 2.09 -1.86
H -1.69 3.99 -1.47
H -1.07 3.73 -3.10
H 0.69 3.80 -0.59
H 0.46 5.14 -1.72
H 1.26 3.68 -2.27
H -0.28 1.64 -4.10
H -0.56 0.00 -3.48
H 1.87 1.75 -2.82
H 1.83 0.41 -3.95
H 1.59 0.10 -2.24


2.
100
Properties=species:S:1:pos:R:3 method="wB97M-V/def2-TZVPD" fmax_ev_per_a=1.8 e_homo_ev="-0.1 / 0.5" energy_ev=-80591.7133 charge=-2 orbital_gap_ha="0.151 / 0.130" de_lowest_kj_mol=0.0
Sn 1.26 0.65 -0.61
C 1.21 4.77 -2.84
C 1.76 3.59 -2.32
N 0.84 2.87 -1.71
N -0.33 3.55 -1.82
C -0.12 4.70 -2.49
B -1.75 3.01 -1.47
N -1.98 2.71 0.03
C -2.59 3.51 0.92
C -2.63 2.85 2.13
C -2.01 1.61 1.86
N -1.63 1.53 0.59
N -2.00 1.75 -2.33
C -3.06 1.52 -3.14
C -2.84 0.34 -3.82
C -1.58 -0.09 -3.35
N -1.08 0.76 -2.46
H 1.71 5.56 -3.38
H 2.78 3.23 -2.37
H -0.94 5.37 -2.69
H -2.53 3.87 -1.79
H -2.94 4.49 0.64
H -3.04 3.20 3.06
H -1.82 0.77 2.52
H -3.88 2.22 -3.17
H -3.48 -0.13 -4.54
H -1.01 -0.97 -3.63
C -4.72 -2.71 -1.98
C -3.72 -2.97 -0.84
C -4.14 -4.24 -0.09
C -3.78 -1.77 0.11
C -2.32 -3.15 -1.45
C -2.08 -4.21 -2.34
C -0.86 -4.33 -3.00
C 0.12 -3.38 -2.79
S 1.69 -3.19 -3.56
C 1.94 -1.68 -2.66
N 0.92 -1.40 -1.82
C -0.09 -2.32 -1.89
C -1.31 -2.23 -1.19
C 3.06 -0.83 -2.75
C 4.14 -1.09 -3.64
C 5.23 -0.24 -3.68
C 5.27 0.89 -2.85
C 4.19 1.16 -2.00
C 3.07 0.34 -1.91
H -5.73 -2.57 -1.57
H -4.75 -3.54 -2.69
H -4.44 -1.80 -2.53
H -5.13 -4.10 0.35
H -3.43 -4.45 0.72
H -4.17 -5.11 -0.75
H -4.79 -1.69 0.52
H -3.54 -0.84 -0.40
H -3.08 -1.88 0.94
H -2.86 -4.93 -2.55
H -0.70 -5.14 -3.70
H -1.44 -1.39 -0.53
H 4.11 -1.95 -4.29
H 6.05 -0.44 -4.36
H 6.13 1.55 -2.87
H 4.26 2.03 -1.36
C 2.49 0.16 3.16
O 3.08 -0.74 2.21
C 2.22 -1.57 1.60
C 2.86 -2.52 0.64
H 3.25 0.89 3.42
H 2.18 -0.40 4.05
H 1.64 0.68 2.73
H 3.44 -3.26 1.20
H 3.54 -1.97 -0.02
H 2.11 -3.02 0.04
N 0.72 5.68 2.56
C 2.07 5.49 2.89
O 2.60 6.30 3.68
C 2.77 4.41 2.28
C 4.16 4.17 2.59
C 4.80 3.10 2.00
C 4.12 2.25 1.12
N 2.79 2.48 0.81
C 2.18 3.50 1.35
H 0.25 6.28 3.22
H 0.18 4.87 2.29
H 4.67 4.84 3.27
H 5.85 2.90 2.21
H 4.59 1.38 0.68
H 1.14 3.63 1.03
N 1.13 -1.89 2.22
C -0.07 -1.90 2.48
C -0.85 -2.71 3.39
C -1.40 -2.15 4.55
C -2.22 -2.90 5.36
C -2.55 -4.21 5.04
C -2.00 -4.77 3.89
C -1.15 -4.04 3.08
H -1.17 -1.12 4.80
H -2.64 -2.45 6.26
H -3.21 -4.79 5.67
H -2.24 -5.79 3.63
H -0.73 -4.48 2.19


Entry 1:
2